
Experimental Study to Separate into Components the Interaction Force between Propeller and Ice Piece

**Crystal structures, as found in the file:**
1.
Theoretical powder X-ray diffraction pattern of Ac2La5SmDy for Cu Kα (weighted mean of Kα1 and Kα2), from a cell relaxed with GGA-PBE.
Peak positions follow from Bragg's law for the DFT cell and can differ from measured ones.

Crystal structure
abc: 5.6862 22.7346 10.6400
angles: 90.00 90.00 90.00
Space group Cmcm (No. 63)
Inequivalent atoms, fractional coordinates:
Ac (0.0000, 0.1152, 0.0135) (multiplicity 8)
La (0.0000, 0.0044, 0.7500) (multiplicity 4)
La (0.0000, 0.2775, 0.0607) (multiplicity 8)
La (0.0000, 0.3771, 0.7500) (multiplicity 4)
La (0.0000, 0.5000, 0.0000) (multiplicity 4)
Sm (0.0000, 0.2146, 0.7500) (multiplicity 4)
Dy (0.0000, 0.3971, 0.2500) (multiplicity 4)

Principal peaks in the range 2θ from 15° to 90°, sorted by position:
(1 3 2), 2θ 25.8, I 24; (1 1 3), 2θ 30.0, I 15; (1 5 2), 2θ 30.3, I 100; (2 0 0), 2θ 31.5, I 44; (0 0 4), 2θ 33.7, I 17; (0 10 0), 2θ 39.6, I 6; (2 8 0), 2θ 45.1, I 9; (2 0 4), 2θ 46.8, I 21; (3 5 2), 2θ 55.3, I 19; (2 8 4), 2θ 57.5, I 8; (1 13 2), 2θ 57.8, I 13; (1 5 6), 2θ 58.1, I 9



2.
Theoretical powder X-ray diffraction pattern of CdAgCl for Cu Kα (weighted mean of Kα1 and Kα2), from a cell relaxed with GGA-PBE.
Peak positions follow from Bragg's law for the DFT cell and can differ from measured ones.

Crystal structure
abc: 3.6159 3.6159 5.9240
angles: 90.00 90.00 120.00
Space group P3m1 (No. 156)
Inequivalent atoms, fractional coordinates:
Cd (0.0000, 0.0000, 0.0000) (multiplicity 1)
Ag (0.3333, 0.6667, 0.6774) (multiplicity 1)
Cl (0.6667, 0.3333, 0.3370) (multiplicity 1)

Principal peaks in the range 2θ from 15° to 90°, sorted by position:
(1 0 0), 2θ 28.5, I 11; (1 0 1), 2θ 32.3, I 100; (0 1 2), 2θ 42.0, I 49; (0 0 3), 2θ 46.0, I 11; (1 1 0), 2θ 50.5, I 25; (0 2 1), 2θ 61.2, I 15; (2 0 2), 2θ 67.7, I 11; (1 0 4), 2θ 70.3, I 9; (1 1 3), 2θ 70.6, I 17; (2 1 1), 2θ 83.2, I 12; (0 1 5), 2θ 88.2, I 6; (1 2 2), 2θ 89.1, I 11


Zn2CoP2O8: theoretical powder XRD pattern (Cu Kα X-rays), based on a DFT-relaxed cell (GGA+U, OQMD).
No peak broadening, texture or thermal motion is included.

The 10 most intense peaks (15 to 90 degrees two-theta), sorted by position:
- d = 4.331 Å, 20.5°, intensity 94.9, (1 0 0)
- d = 4.022 Å, 22.1°, intensity 33.0, (1 0 -2)
- d = 3.388 Å, 26.3°, intensity 100.0, (0 1 2)
- d = 3.219 Å, 27.7°, intensity 26.0, (1 2 -1)
- d = 2.521 Å, 35.6°, intensity 25.7, (2 0 -2)
- d = 2.494 Å, 36.0°, intensity 34.1, (1 2 1)
- d = 2.440 Å, 36.8°, intensity 45.5, (1 3 -1)
- d = 2.369 Å, 38.0°, intensity 29.8, (0 1 3)
- d = 2.036 Å, 44.5°, intensity 19.6, (2 2 -3)
- d = 1.663 Å, 55.2°, intensity 21.0, (2 1 -5)

Structural model:
```
Zn2CoP2O8
1.0
5.059 0.000 0.000
0.000 8.365 0.000
-4.464 0.000 7.410
Zn Co P O

(By Kenkichi Tamura, Hajime Yamaguchi ; INSROP Working Paper No. 78 – 1997,I.1.9)


When an ice piece collides with a propeller, it leads to an impact load on the propeller blade, causing damage to the propeller blade and/or engine trouble. So far, the impact load has been treated from the aspect of ice breakage only. It is presumed, however, that other factors, such as hydrodynamic force and inertia force of the ice piece, also affect this phenomenon. The importance of these forces has recently been investigated and reported. The shallow water along parts of the Northern Sea Route requires a shallow draft ship, resulting in more frequent interaction between the propeller and ice pieces. Also, the limited propeller diameter due to the shallow draft leads to greater load on the propeller. A nozzle propeller has some advantages over the conventional open propeller in such conditions.

Attached: records of crystals:
<<<
Record 1
Starting from a crystal structure in Alexandria, relaxed with GGA-PBE, the powder XRD pattern of Zn6PdPt was simulated for Cu Ka.

The 6 most intense peaks (2θ from 10° to 90°), low angle first:
- 39.25 deg, rel. 100.0
- 41.21 deg, rel. 87.0
- 45.70 deg, rel. 64.3
- 48.95 deg, rel. 26.2
- 69.20 deg, rel. 36.6
- 78.86 deg, rel. 24.4

Atomic structure:
```
Zn6PdPt
1.0
0.0000 3.7212 5.4203
2.9161 0.0000 5.4203
2.9161 3.7212 0.0000
Zn Pd Pt
6 1 1
direct
0.1238 0.1238 0.3762
0.2493 0.2493 0.7507
0.3762 0.3762 0.1238
0.6238 0.6238 0.8762
0.7507 0.7507 0.2493
0.8762 0.8762 0.6238
0.5000 0.5000 0.5000
0.0000 0.0000 0.0000
```

Record 2
Starting from a crystal structure in Alexandria, relaxed with GGA-PBE, the powder XRD pattern of CaBeSe3 was simulated for Cu Ka.

The 6 most intense peaks (2θ from 10° to 90°), low angle first:
- 18.73 deg, rel. 7.7
- 32.74 deg, rel. 100.0
- 37.98 deg, rel. 54.0
- 54.80 deg, rel. 36.0
- 65.32 deg, rel. 38.5
- 68.61 deg, rel. 12.1

Atomic structure:
```
CaBeSe3
1.0
4.7383 0.0000 0.0000
0.0000 4.7383 0.0000
0.0000 0.0000 4.7383
Ca Be Se
1 1 3
direct
0.0000 0.0000 0.0000
0.5000 0.5000 0.5000
0.0000 0.5000 0.5000
0.5000 0.0000 0.5000
0.5000 0.5000 0.0000
```

Record 3
Starting from a crystal structure in Alexandria, relaxed with GGA-PBE, the powder XRD pattern of K2SeO was simulated for Cu Ka.

The 6 most intense peaks (2θ from 10° to 90°), low angle first:
- 23.21 deg, rel. 45.7
- 29.28 deg, rel. 96.5
- 29.94 deg, rel. 51.8
- 30.09 deg, rel. 54.5
- 32.26 deg, rel. 100.0
- 42.96 deg, rel. 51.5

Atomic structure:
```
K2SeO
1.0
2.9847 -4.7006 0.0000
2.9847 4.7006 0.0000
-0.0196 0.0000 7.6631
K Se O
4 2 2
direct
0.0001 0.9999 0.0000
0.9999 0.0001 0.5000
0.3288 0.6528 0.2516
0.6528 0.3288 0.7516
0.2955 0.6654 0.7494
0.6654 0.2955 0.2494
0.6630 0.8258 0.7493
0.8258 0.6630 0.2493
```

Record 4
Starting from a crystal structure in Alexandria, relaxed with GGA-PBE, the powder XRD pattern of GaBi2S4 was simulated for Cu Ka.

The 6 most intense peaks (2θ from 10° to 90°), low angle first:
- 13.47 deg, rel. 48.2
- 25.99 deg, rel. 100.0
- 27.14 deg, rel. 33.7
- 31.52 deg, rel. 68.5
- 44.99 deg, rel. 43.6
- 45.37 deg, rel. 42.5

Atomic structure:
```
GaBi2S4
1.0
6.9766 -4.0312 0.0000
6.9766 4.0312 0.0000
-4.6604 0.0000 13.0061
Ga Bi S
4 8 16
direct
0.0624 0.5615 0.6855
0.4385 0.9376 0.8145
0.5615 0.0624 0.1855
0.9376 0.4385 0.3145
0.0000 0.0000 0.0000
0.0000 0.0000 0.5000
0.0000 0.5000 0.0000
0.2493 0.7507 0.2500
0.5000 0.0000 0.5000
0.5000 0.5000 0.0000
0.5000 0.5000 0.5000
0.7507 0.2493 0.7500
0.1200 0.1334 0.3735
0.1203 0.6205 0.3733
0.1236 0.6234 0.8704
0.1334 0.1200 0.8735
0.3677 0.3795 0.6267
0.3766 0.8764 0.6296
0.3795 0.3677 0.1267
0.3795 0.8797 0.1267
0.6205 0.1203 0.8733
0.6205 0.6323 0.8733
0.6234 0.1236 0.3704
0.6323 0.6205 0.3733
0.8666 0.8800 0.1265
0.8764 0.3766 0.1296
0.8797 0.3795 0.6267
0.8800 0.8666 0.6265
```

Record 5
>>>

Taking the above issues into consideration, our study deals with ice interaction with a nozzle propeller. Ice impact load is divided into 4 components: force due to ice failure, force due to momentum change of an ice mass, force due to the added mass of ice, and hydrodynamic force due to proximity and flow distortion between the propeller blade and ice. This paper describes the experiments on the division of the force into these four components. An ice collision test in water contains all of the force components. An ice blockage test in water, where an ice block is placed in front of the propeller without touching the propeller blade, yields the hydrodynamic force. An ice collision test in air yields the ice failure force and the inertia force due to the ice mass only. Finally, an ice collision test with ice of various strengths reveals the effects of ice strength.

A nozzle propeller model of a 267mm-diameter propeller was used in these experiments. The thrust, torque and spindle torque of one blade were measured and analyzed for all four experiments described above. The following results were obtained:

1. The ice failure force component seems to be proportional to the ice strength.

'''
For Na2Tl3Pt2Pb, a structure optimized by DFT (GGA-PBE) gives the calculated X-ray powder pattern in this record (a wavelength of 1.5418 Å).

The 8 most intense peaks (2θ from 10° to 80°), by angle:
- (0 1 0), 2θ 16.0, I 75
- (0 1 -1), 2θ 19.3, I 53
- (-1 1 2), 2θ 31.0, I 85
- (-1 2 1), 2θ 33.7, I 48
- (1 1 -2), 2θ 38.8, I 100
- (0 2 2), 2θ 39.2, I 56
- (1 0 -3), 2θ 39.7, I 100
- (2 -1 0), 2θ 41.7, I 48

Cell lengths 4.335, 5.931, 8.251 Å; angles 90.05, 90.00, 111.31 degrees
Atoms (fractional coordinates):
Na 0.000 0.000 0.000
Na 0.136 0.269 0.507
Tl 0.426 0.853 0.708
Tl 0.431 0.863 0.301
Tl 0.710 0.416 0.795
Pt 0.284 0.565 0.005
Pt 0.850 0.700 0.500
Pb 0.714 0.424 0.203

=====

ZnFe4O8: computed PXRD pattern (Cu Kα (λ = 1.5418 Å)), based on a structure optimized by DFT (PBE+U).
Neutral-atom scattering factors, no anomalous dispersion.

Most intense lines, 10° ≤ 2θ ≤ 90°, low angle first:
Position (°2θ), d_spacing, I (rel.)
12.5, 7.096, 71
12.7, 6.983, 46
16.3, 5.452, 100
30.1, 2.969, 47
30.4, 2.945, 45
32.9, 2.726, 80
35.5, 2.527, 67
35.7, 2.517, 47
50.8, 1.796, 46
56.1, 1.639, 42

Structure:
Cell: 14.1650 2.9910 9.2172 Å, 90.00 129.66 90.00°
Space group Cm (No. 8)
Symmetry-distinct sites (fractional):
1 Zn 0.0000 0.0000 0.0000
2 Fe 0.0064 0.5000 0.3540
3 Fe 0.0152 0.0000 0.7002
'''

2. For the thrust, the inertia force is by far the major component and the ice failure force is minor. The hydrodynamic force increases the thrust, while the other forces decrease it.

3. For the torque, the ice failure force is strongly dependent on the ice strength and is the largest of all the force components, followed by the hydrodynamic force and then the inertia force which is about half the hydrodynamic force.

4. For the spindle torque, the inertia force and the ice failure force are the largest components and are comparable to each other. Hydrodynamic force is approximately half the inertia force.

As mentioned above, inertia and hydrodynamic forces are comparable to or larger than the ice failure force. Rational scaling laws must be considered and applied to the respective force components when ice forces on a full-scale propeller are extrapolated from the results of the model experiments.


    Kenkichi Tamura, Hajime Yamaguchi, 1997, Experimental Study to Separate into Components the Interaction Force between Propeller and Ice Piece, INSROP.©